_Contents_
-- begin --
Computed, not measured: a relaxed structure of KTe2IrS at the GGA-PBE level of DFT.

Crystal system: tetragonal
Final energy (eV for the cell shown): -18.6

abc: 5.0848 6.2289 5.0848
angles: 90.00 90.00 90.00
Positions (direct):
Te1 0.0000 0.0000 0.5000
Te2 0.5000 0.0000 0.0000
K1 0.0000 0.5000 0.0000
S1 0.5000 0.5000 0.5000
Ir1 0.0000 0.0000 0.0000

* * * * *

Entry 1:
Compound: Er4ScTl5
Source: Alexandria via LeMat-Bulk
Functional: PBE
Structure: optimized geometry

Results
- energy of formation from the pure elements (eV/atom) = -0.300
- M_tot (μB per cell) = 0.0

Cell lengths 3.674, 3.674, 19.349 Å; angles 90.00, 90.00, 90.00 degrees
Space group P4/mmm (No. 123)
Inequivalent atoms, fractional coordinates:
Er  0.000  0.000  0.103
Er  0.000  0.000  0.308
Sc  0.000  0.000  0.500
Tl  0.500  0.500  0.000
Tl  0.500  0.500  0.206
Tl  0.500  0.500  0.409



Entry 2:
Compound: CaReN3
Source: Alexandria via LeMat-Bulk
Functional: PBE
Structure: optimized geometry

Results
- uncorrected formation energy (eV/atom) = 0.051
- M_tot (μB per cell) = 0.0

Cell lengths 3.455, 3.455, 21.843 Å; angles 90.00, 90.00, 90.00 degrees
Space group I-4m2 (No. 119)
Inequivalent atoms, fractional coordinates:
Ca  0.000  0.000  0.000
Ca  0.000  0.500  0.250
Re  0.000  0.500  0.630
N  0.000  0.000  0.322
N  0.000  0.312  0.098



Entry 3:
Compound: LiGa
Source: Alexandria via LeMat-Bulk
Functional: PBE
Structure: optimized geometry

Results
- energy of formation from the pure elements (eV/atom) = 0.505
- M_tot (μB per cell) = 0.0

Cell lengths 5.899, 5.899, 5.899 Å; angles 90.00, 90.00, 90.00 degrees
Space group F-43m (No. 216)
Inequivalent atoms, fractional coordinates:
Li  0.000  0.000  0.000
Ga  0.250  0.250  0.750



Entry 4:
Compound: AcCe2IO4
Source: Alexandria via LeMat-Bulk
Functional: PBE
Structure: optimized geometry

Results
- uncorrected formation energy (eV/atom) = -3.070
- M_tot (μB per cell) = 2.0

Cell lengths 4.153, 4.153, 9.669 Å; angles 90.00, 90.00, 90.00 degrees
Space group P4/mmm (No. 123)
Inequivalent atoms, fractional coordinates:
Ac  0.000  0.000  0.000
Ce  0.500  0.500  0.262
I  0.000  0.000  0.500
O  0.000  0.500  0.164



Entry 5:
Compound: ZnTc2Au
Source: Alexandria via LeMat-Bulk
Functional: PBE
Structure: optimized geometry

Results
- energy of formation from the pure elements (eV/atom) = 0.251
- M_tot (μB per cell) = 0.0

Cell lengths 2.817, 4.210, 5.206 Å; angles 90.00, 90.00, 90.00 degrees
Space group Pmmm (No. 47)
Inequivalent atoms, fractional coordinates:
Zn  0.000  0.000  0.000
Tc  0.500  0.500  0.223
Au  0.000  0.000  0.500



Entry 6:
Compound: GaFePt
Source: Alexandria via LeMat-Bulk
Functional: PBE
Structure: optimized geometry

Results
- energy of formation from the pure elements (eV/atom) = -0.301
- M_tot (μB per cell) = 9.4

Cell lengths 8.814, 2.902, 6.879 Å; angles 90.00, 102.60, 90.00 degrees
Space group C2/m (No. 12)
Inequivalent atoms, fractional coordinates:
Ga  0.096  0.000  0.245
Fe  0.136  0.500  0.951
Pt  0.159  0.000  0.633



Entry 7:
Compound: HfBi2Pd2
Source: Alexandria via LeMat-Bulk
Functional: PBE
Structure: optimized geometry

Results
- energy of formation from the pure elements (eV/atom) = -0.222
- M_tot (μB per cell) = 0.0

Cell lengths 7.282, 7.282, 4.151 Å; angles 90.00, 90.00, 90.00 degrees
Space group P4/mbm (No. 127)
Inequivalent atoms, fractional coordinates:
Hf  0.000  0.000  0.000
Bi  0.177  0.323  0.500
Pd  0.132  0.632  0.000



Entry 8:
Compound: Ba3LiAu
Source: Alexandria via LeMat-Bulk
Functional: PBE
Structure: optimized geometry

Results
- energy above the lowest structure with this stoichiometry (meV/atom) = 20
- energy of formation from the pure elements (eV/atom) = -0.251
- M_tot (μB per cell) = 0.0

Cell lengths 12.120, 17.271, 4.738 Å; angles 90.00, 90.00, 90.00 degrees
Space group Cmmm (No. 65)
Inequivalent atoms, fractional coordinates:
Ba  0.000  0.179  0.000
Ba  0.190  0.374  0.500
Li  0.000  0.000  0.500
Li  0.000  0.500  0.000
Au  0.250  0.250  0.000



Entry 9:
-- stop --

_Work order_
Your job: return the entries earlier on without additions.

_Worked solution_
Computed, not measured: a relaxed structure of KTe2IrS at the GGA-PBE level of DFT.

Crystal system: tetragonal
Final energy (eV for the cell shown): -18.6

abc: 5.0848 6.2289 5.0848
angles: 90.00 90.00 90.00
Positions (direct):
Te1 0.0000 0.0000 0.5000
Te2 0.5000 0.0000 0.0000
K1 0.0000 0.5000 0.0000
S1 0.5000 0.5000 0.5000
Ir1 0.0000 0.0000 0.0000

* * * * *

Entry 1:
Compound: Er4ScTl5
Source: Alexandria via LeMat-Bulk
Functional: PBE
Structure: optimized geometry

Results
- energy of formation from the pure elements (eV/atom) = -0.300
- M_tot (μB per cell) = 0.0

Cell lengths 3.674, 3.674, 19.349 Å; angles 90.00, 90.00, 90.00 degrees
Space group P4/mmm (No. 123)
Inequivalent atoms, fractional coordinates:
Er  0.000  0.000  0.103
Er  0.000  0.000  0.308
Sc  0.000  0.000  0.500
Tl  0.500  0.500  0.000
Tl  0.500  0.500  0.206
Tl  0.500  0.500  0.409



Entry 2:
Compound: CaReN3
Source: Alexandria via LeMat-Bulk
Functional: PBE
Structure: optimized geometry

Results
- uncorrected formation energy (eV/atom) = 0.051
- M_tot (μB per cell) = 0.0

Cell lengths 3.455, 3.455, 21.843 Å; angles 90.00, 90.00, 90.00 degrees
Space group I-4m2 (No. 119)
Inequivalent atoms, fractional coordinates:
Ca  0.000  0.000  0.000
Ca  0.000  0.500  0.250
Re  0.000  0.500  0.630
N  0.000  0.000  0.322
N  0.000  0.312  0.098



Entry 3:
Compound: LiGa
Source: Alexandria via LeMat-Bulk
Functional: PBE
Structure: optimized geometry

Results
- energy of formation from the pure elements (eV/atom) = 0.505
- M_tot (μB per cell) = 0.0

Cell lengths 5.899, 5.899, 5.899 Å; angles 90.00, 90.00, 90.00 degrees
Space group F-43m (No. 216)
Inequivalent atoms, fractional coordinates:
Li  0.000  0.000  0.000
Ga  0.250  0.250  0.750



Entry 4:
Compound: AcCe2IO4
Source: Alexandria via LeMat-Bulk
Functional: PBE
Structure: optimized geometry

Results
- uncorrected formation energy (eV/atom) = -3.070
- M_tot (μB per cell) = 2.0

Cell lengths 4.153, 4.153, 9.669 Å; angles 90.00, 90.00, 90.00 degrees
Space group P4/mmm (No. 123)
Inequivalent atoms, fractional coordinates:
Ac  0.000  0.000  0.000
Ce  0.500  0.500  0.262
I  0.000  0.000  0.500
O  0.000  0.500  0.164



Entry 5:
Compound: ZnTc2Au
Source: Alexandria via LeMat-Bulk
Functional: PBE
Structure: optimized geometry

Results
- energy of formation from the pure elements (eV/atom) = 0.251
- M_tot (μB per cell) = 0.0

Cell lengths 2.817, 4.210, 5.206 Å; angles 90.00, 90.00, 90.00 degrees
Space group Pmmm (No. 47)
Inequivalent atoms, fractional coordinates:
Zn  0.000  0.000  0.000
Tc  0.500  0.500  0.223
Au  0.000  0.000  0.500



Entry 6:
Compound: GaFePt
Source: Alexandria via LeMat-Bulk
Functional: PBE
Structure: optimized geometry

Results
- energy of formation from the pure elements (eV/atom) = -0.301
- M_tot (μB per cell) = 9.4

Cell lengths 8.814, 2.902, 6.879 Å; angles 90.00, 102.60, 90.00 degrees
Space group C2/m (No. 12)
Inequivalent atoms, fractional coordinates:
Ga  0.096  0.000  0.245
Fe  0.136  0.500  0.951
Pt  0.159  0.000  0.633



Entry 7:
Compound: HfBi2Pd2
Source: Alexandria via LeMat-Bulk
Functional: PBE
Structure: optimized geometry

Results
- energy of formation from the pure elements (eV/atom) = -0.222
- M_tot (μB per cell) = 0.0

Cell lengths 7.282, 7.282, 4.151 Å; angles 90.00, 90.00, 90.00 degrees
Space group P4/mbm (No. 127)
Inequivalent atoms, fractional coordinates:
Hf  0.000  0.000  0.000
Bi  0.177  0.323  0.500
Pd  0.132  0.632  0.000



Entry 8:
Compound: Ba3LiAu
Source: Alexandria via LeMat-Bulk
Functional: PBE
Structure: optimized geometry

Results
- energy above the lowest structure with this stoichiometry (meV/atom) = 20
- energy of formation from the pure elements (eV/atom) = -0.251
- M_tot (μB per cell) = 0.0

Cell lengths 12.120, 17.271, 4.738 Å; angles 90.00, 90.00, 90.00 degrees
Space group Cmmm (No. 65)
Inequivalent atoms, fractional coordinates:
Ba  0.000  0.179  0.000
Ba  0.190  0.374  0.500
Li  0.000  0.000  0.500
Li  0.000  0.500  0.000
Au  0.250  0.250  0.000



Entry 9: